Analysts are warning of impending price increases for maize and wheat, after the USDA’s latest report on grains and oilseeds suggested stocks were tighter than previously expected.

In its quarterly update, published last Friday (11 January), the USDA said maize stocks stood at 8,030 million bushels on 1 December - the consensus estimate among analysts and industry experts had been 8,219 million bushels.

On wheat, the USDA said ending stocks for the 2012/13 season were now forecast to come in at 716 million bushels instead of the previously expected 754 million, as a result of increased demand.

Commodity prices: palm oil prices recover

Palm oil prices in the EU continue to recover from the two-year low they reached in December, moving up by 7% to £553.7/tonne over the past month. On a year-on-year basis, however, palm oil remains nearly 20% cheaper, thanks to good global supply and reduced demand.

'''
A relaxed structure of YBe2, computed with PBE-GGA.

Geometry as POSCAR:
```
YBe2
1.0
-2.204 2.204 4.837
2.204 -2.204 4.837
2.204 2.204 -4.837
Y Be
2 4
Cartesian
0.000 0.000 2.418
0.000 0.000 7.255
2.933 0.729 0.000
0.729 1.475 0.000
1.475 0.729 4.837
-0.729 1.475 4.837
```

Results
As for the symmetry: I4/mcm. For the formation energy, the calculation gives 0.2057 eV/atom. The value obtained for the density of states at the Fermi level is 0.778 states/eV/atom. The uncorrected energy comes out at -4.43 eV/atom.

----------

First-principles (PBE) data for a relaxed ScTl2Te2 crystal, as listed in Alexandria.

abc: 7.788 7.788 5.408
angles: 90.00 90.00 90.00
Positions (direct):
Tl (0.652, 0.848, 0.500)
Tl (0.848, 0.348, 0.500)
Tl (0.348, 0.152, 0.500)
Tl (0.152, 0.652, 0.500)
Sc (0.500, 0.500, 0.000)
Sc (0.000, 0.000, 0.000)
Te (0.828, 0.672, 0.000)
Te (0.172, 0.328, 0.000)
Te (0.328, 0.828, 0.000)
Te (0.672, 0.172, 0.000)

Calculated values
Raw formation energy = -0.4313 eV/atom
Relative energy among the computed polymorphs = 1.096 eV per formula unit
Total moment = 0.0 μB per formula unit
Volume = 32.81 Å³/atom
N(E_F) = 3.862 states/eV/f.u.
E_tot = -3.90 eV per atom

First-principles (PBE) data for a relaxed LiThH6Ir2 crystal, as listed in Alexandria.

abc: 6.058 6.058 5.591
angles: 99.70 99.70 100.95
Positions (direct):
H (0.902, 0.446, 0.138)
H (0.195, 0.198, 0.068)
H (0.314, 0.524, 0.394)
H (0.524, 0.314, 0.894)
H (0.805, 0.802, 0.932)
H (0.802, 0.805, 0.432)
H (0.476, 0.686, 0.106)
H (0.446, 0.902, 0.638)
H (0.098, 0.554, 0.862)
H (0.554, 0.098, 0.362)
H (0.686, 0.476, 0.606)
H (0.198, 0.195, 0.568)
Li (0.586, 0.414, 0.250)
Li (0.414, 0.586, 0.750)
Ir (0.936, 0.676, 0.676)
Ir (0.676, 0.936, 0.176)
Ir (0.324, 0.064, 0.824)
Ir (0.064, 0.324, 0.324)
Th (0.166, 0.834, 0.250)
Th (0.834, 0.166, 0.750)

Calculated values
Total moment = 0.0 μB per formula unit
Volume = 9.71 Å³/atom
N(E_F) = 3.410 states/eV/f.u.
E_tot = -5.13 eV per atom

First-principles (PBE) data for a relaxed Pr4Nd2TmTh crystal, as listed in Alexandria.

abc: 6.140 6.126 9.559
angles: 50.27 90.00 90.00
Positions (direct):
Pr (0.500, 0.754, 0.246)
Pr (0.000, 0.255, 0.245)
Pr (0.500, 0.246, 0.754)
Pr (0.000, 0.745, 0.755)
Nd (0.500, 0.000, 0.500)
Nd (0.000, 0.000, 0.000)
Tm (0.000, 0.500, 0.500)
Th (0.500, 0.500, 0.000)

Calculated values
Total moment = 0.0 μB per formula unit
Volume = 34.56 Å³/atom
ΔE_f = 13 kJ per mole of atoms
N(E_F) = 15.880 states/eV/f.u.
E_tot = -4.93 eV per atom

First-principles (PBE) data for a relaxed InHgSb2Ru crystal, as listed in Alexandria.

abc: 5.571 5.094 5.571
angles: 90.00 90.00 90.00
Site moments in Bohr magnetons follow the coordinates.
Positions (direct):
Sb (0.500, 0.000, 0.000)  -0.05
Sb (0.000, 0.000, 0.500)  -0.02
Hg (0.500, 0.500, 0.500)  0.03
In (0.000, 0.000, 0.000)  -0.03
Ru (0.000, 0.500, 0.000)  1.57

Calculated values
Raw formation energy = 1.1840 eV/atom
Total moment = 1.6 μB per formula unit
Volume = 31.62 Å³/atom
'''
# The materials data stop here

In the wheat markets, the global 2012/13 wheat production forecast was this month raised by 3.7 million tonnes to 655.1 million tonnes, prompting a slight month-on-month drop in French milling wheat prices. Year-on-year, prices remain elevated - at £198.8/tonne, they are currently up 21.1%.

Meanwhile, durum wheat prices in the EU have become 31% cheaper over the past year, as the market returns to normal after the high prices of 2011/12.

(1)
Computed, not measured: crystalline BeAl2W at its relaxed geometry at the PBE-GGA level of DFT.

Its formation energy is 0.092 eV per atom.

The space group is P2/m (No. 10) and the conventional cell measures 2.671, 4.294 and 4.952 Å, with angles of 90.00, 97.66 and 90.00 degrees. The inequivalent atoms are Be at (0.000, 0.000, 0.000), Al at (0.134, 0.500, 0.757) and W at (0.500, 0.000, 0.500).

***

(2)
Computed, not measured: crystalline Er2Si3 at its relaxed geometry at the PBE-GGA level of DFT.

For the energy relative to the elements, uncorrected, the calculation gives -3.4 eV per formula unit.

The space group is Immm (No. 71) and the conventional cell measures 3.885, 5.895 and 8.414 Å, with angles of 90.00, 90.00 and 90.00 degrees. The inequivalent atoms are Er at (0.000, 0.000, 0.221), Si at (0.000, 0.294, 0.500) and Si at (0.000, 0.500, 0.000).

***

(3)
Computed, not measured: crystalline La3Ag2Hg at its relaxed geometry at the PBE-GGA level of DFT.

Its formation energy is -0.341 eV per atom.

The space group is P4/mmm (No. 123) and the conventional cell measures 3.872, 3.872 and 11.455 Å, with angles of 90.00, 90.00 and 90.00 degrees. The inequivalent atoms are La at (0.000, 0.000, 0.000), La at (0.000, 0.000, 0.329), Ag at (0.500, 0.500, 0.162) and Hg at (0.500, 0.500, 0.500).

***

(4)
Computed, not measured: crystalline Li8PbAu2 at its relaxed geometry at the PBE-GGA level of DFT.

Its formation energy is -0.366 eV per atom.

The space group is Immm (No. 71) and the conventional cell measures 4.446, 7.085 and 12.287 Å, with angles of 90.00, 90.00 and 90.00 degrees. The inequivalent atoms are Li at (0.000, 0.000, 0.153), Li at (0.000, 0.207, 0.344), Li at (0.000, 0.308, 0.000), Pb at (0.000, 0.500, 0.500) and Au at (0.000, 0.500, 0.200).

***

(5)
Computed, not measured: crystalline LiLa2SbH at its relaxed geometry at the PBE-GGA level of DFT.

The space group is P4/mmm (No. 123) and the conventional cell measures 5.021, 5.021 and 4.503 Å, with angles of 90.00, 90.00 and 90.00 degrees. The inequivalent atoms are Li at (0.000, 0.000, 0.000), La at (0.000, 0.500, 0.500), Sb at (0.500, 0.500, 0.000) and H at (0.000, 0.000, 0.500).

***

(6)
Computed, not measured: crystalline Hg2PbCl at its relaxed geometry at the PBE-GGA level of DFT.

For the energy relative to the elements, uncorrected, the calculation gives -0.6 eV per formula unit.

The space group is F-43m (No. 216) and the conventional cell measures 7.593, 7.593 and 7.593 Å, with angles of 90.00, 90.00 and 90.00 degrees. The inequivalent atoms are Hg at (0.000, 0.000, 0.000), Hg at (0.250, 0.250, 0.250), Pb at (0.250, 0.250, 0.750) and Cl at (0.000, 0.000, 0.500).

***

| no. | raw total energy (eV per atom) |
| --- | --- |
| 1 | -5.95 |
| 2 | -5.76 |
| 3 | -3.81 |
| 4 | -2.69 |
| 5 | -4.51 |
| 6 | -1.70 |

=====

TbPrLuSn: relaxed, PBE-GGA.

extended XYZ file:
```
4
Lattice="0.000 3.863 3.863 3.863 0.000 3.863 3.863 3.863 0.000" Properties=species:S:1:pos:R:3 pbc="T T T"
### Here the text continues

Macquarie described the maize figures as “shocking” and said they underlined how strong demand for animal feed was at the moment. “The net effect was to drop ending stocks to 602 million bushels - the lowest stock level since the 95/96 season and one of the tightest balance sheets in history in terms of stocks to use,” it said.

Macquarie added that although it disagreed with some of the USDA’s implied feed estimates - possibly because the agency overestimated beginning stocks or miscalculated 2012/13 production figures - demand for animal feed needed to come down. “At the end of the day, demand is still running too strong, so further rationing will be required,” it said.

Rabobank agreed the figures showed demand for animal feed had continued at an “unsustainable pace” and, after a recent drop in feed prices, higher maize prices were now needed to ration demand. The bank added it also expected wheat prices to go up.

The USDA’s figures for soybeans were largely in line with market expectations, with the agency raising its US production estimate by 44 million bushels to 3,015 million bushels on the back of improved yields and a larger harvest area.